Patrick Reynolds is deputy chair of the City Centre Advisory Panel
...and what can we do to increase its success?
Here at Greater Auckland it is axiomatic that cities are, or at least can and should be, forces for good for their inhabitants and host nations. This of course explains their universal existence throughout history, across all cultures and geographies.
Obviously they have their downsides too, so the question really becomes; how to maximise their advantages and minimise the disadvantages. In other words: cities are great, but some cities are better at it than others. Detail matters. The key challenges in cities are pollution, disease, and congestion. The first two are fought with public sanitation infrastructure, the electrification of everything, and public health measures (especially mass vaccination). The last one with urban transport systems, changes in urban form, and electronic connectivity.
It is clear from this Auckland budget that most of our infrastructure efforts go into addressing these two area: transport and water (also note how minor, and declining is the CRL capex contribution)
So first what do cities do best?
Last month our official public body for thinking about this sort of thing, Te Waihanga, published an evaluation of Auckland, here. It's full of interesting insight, I'll include a few charts on transport in the post, but the whole paper is worth a look. Here are the top two conclusions:
Economists have a fancy term for the advantages larger denser cities exhibit: Agglomeration Economies (or Effects), essentially that the greater complexity, choice and competition, accessible to city dwellers makes them more productive. Sure enough Auckland shows these effects, including, efficiency in physical connectivity. This is shown be the fact that despite being the biggest city, covering the greatest area, we drive less than people everywhere else in the country to do all the things, we also, as you'd expect, use public transport more:
Additionally that gap is consistently widening, even as the city spreads further. Suggesting Auckland is developing in the usual city way: needing and using more spatially efficient movement systems, PT walking and cycling, to access more nearby options. This means we need less road space per capita but more PT services:
This also means we spend way less on road maintenance, half in fact, but more on PT...
...and way more on building any new roads:
So in our biggest densest city, building new roads is more expensive, but because we can invest in PT we don't need to so much. Which in turn saves on road maintenance, but we do need to keep operating that PT. No free lunch, but by choosing to invest more in PT (and other spatially efficient systems), over congestion inducing roads we increase the great urban prize: more valuable efficient density. Which is to say increased density and productivity with a lower traffic congestion cost.
Transport investment policy should be markedly different for cities, rather than one model fits all across the nation.
Furthermore, increasing the density especially on the best public transport routes will increase those efficiencies even more.
All our cities need this this to a degree, but Auckland is anomalous in NZ in both size and density, so this is where the greatest benefit in more city-shaped investment lies.
So how are we doing on plans to expand public transport and density? Or are we still trying to force more urban highways through the city when instead we should be accelerating alternatives more urgently?
Happily there are two very big agglomeration enablers that we are wisely investing in right now, both nearing completion: The City Rail Link (and the rest of the network) and the huge wastewater tunnel, the Central Interceptor (also with network effects). So the questions become: how to get the best value from these investments, and what's next?
To get the best from them we should enable, plan, and fund more intensity in the areas their networks serve. More on that below.
• Misplaced records of molecules:
- - -
1.
Computed, not measured: C23H17ClGaN6OS as an isolated structure in a non-equilibrium geometry, with ωB97M-V with the def2-TZVPD basis set.

Properties
LUMO = -3.77 eV
M = 530.67 g mol⁻¹
Net charge = +1

Cartesian coordinates (Å):
N 0.347 -1.609 0.307
C -0.873 -1.810 0.856
H -4.380 -2.150 2.442
H 2.205 -2.375 -0.048
N 2.606 0.170 0.051
H -2.689 -3.893 2.849
H -3.752 2.188 -2.678
H -2.188 2.753 3.103
S -0.234 2.897 0.118
C 3.547 -0.061 -0.854
C 4.841 -0.413 -0.501
C 1.865 0.450 2.292
C -2.401 2.827 -4.197
H 2.068 0.533 3.353
H 4.401 -0.317 2.847
C 1.254 -2.549 0.440
C 2.899 0.064 1.364
C -1.892 -0.867 0.554
O 0.533 0.726 -2.151
C -0.168 -3.912 1.807
H 5.583 -0.587 -1.263
H -3.328 0.359 -1.255
C -0.822 2.387 1.658
H -0.355 -4.794 2.403
C 4.184 -0.278 1.790
H -2.276 3.803 1.721
Ga 0.532 0.573 -0.290
H 3.239 0.047 -1.887
H 1.812 -4.469 1.208
N 0.768 0.867 1.768
C -1.793 1.398 -2.337
C -2.746 2.139 -3.062
C -1.176 -2.937 1.661
C -0.439 1.362 -2.784
N -1.487 0.087 -0.363
C -0.151 2.001 -4.006
C -3.134 -0.991 1.139
C 1.029 -3.729 1.161
Cl -3.563 3.814 -5.000
C -3.401 -2.070 1.994
N -1.905 2.979 2.164
C -2.265 0.604 -1.259
H 0.860 1.936 -4.382
C -2.462 -3.036 2.234
C 5.166 -0.519 0.848
H -0.844 3.214 -5.623
N -0.180 1.504 2.403
H 6.168 -0.778 1.158
H -3.906 -0.263 0.942
C -1.097 2.722 -4.696

Results of the Mulliken charge analysis, in e, for atoms 1 through 2: 0.048 0.527

=====

2.
Computed, not measured: a 11-piece molecular cluster, C28H72N4O12S6 overall in a non-equilibrium geometry, with ωB97M-V with the def2-TZVPD basis set.

Properties
LUMO = 0.14 eV
M = 849.30 g mol⁻¹

Cartesian coordinates (Å):
S 3.255 6.446 0.682
O -4.630 3.232 -4.770
H 2.483 -0.847 -1.363
O -1.595 -1.734 -3.637
H -1.942 -3.390 0.143
H 2.539 7.251 2.868
C -2.077 3.815 0.196
C 5.675 -1.351 -1.361
C 2.961 4.844 1.482
C -1.314 -6.138 -1.661
H 2.399 4.998 2.396
C 0.585 1.878 -3.862
C 0.835 -5.545 2.705
H 1.657 -5.675 1.998
H 3.694 -0.406 -0.096
N -3.827 -1.419 -3.967
O -4.793 4.749 0.115
S 1.295 -6.507 4.181
H 1.530 0.547 1.757
C -3.710 -0.870 -5.299
H -4.456 -0.094 -5.469
C -5.598 2.712 -2.435
H -1.281 -5.133 -1.246
H 1.278 0.506 6.070
O 0.050 -6.992 4.823
O -0.656 0.829 -0.593
H -1.545 4.655 0.671
H 2.216 3.348 -5.449
H 1.759 -5.772 -3.598
H 0.600 1.255 4.615
C 4.076 -1.683 -3.178
H -2.042 -1.057 -0.102
H 0.927 2.130 1.193
H -3.054 -2.306 -2.341
C -5.175 -1.700 -3.471
C 1.158 1.100 0.903
C -1.581 -1.379 0.832
O -0.420 -0.628 1.147
C 1.787 -5.075 5.129
C 4.863 -0.835 3.447
H -1.252 0.087 7.526
O -0.213 3.917 -2.168
O 0.038 -1.894 5.570
C 0.163 4.188 -3.292
H -2.523 1.604 1.837
C -2.752 -1.853 -3.302
H 0.929 -4.513 -2.584
H 2.394 4.241 0.769
H -5.165 -1.788 -2.380
C -0.102 0.457 0.413
C -2.829 2.588 2.198
H -0.072 -5.921 2.251
H 1.627 1.514 -3.831
C 1.170 3.665 -5.457
H 1.367 -1.493 3.259
H 2.487 -2.774 3.792
H 0.677 3.200 -6.315
H -3.662 2.515 2.892
H 1.085 4.739 -5.609
H -1.784 -6.811 -0.945
H -2.793 1.219 -2.478
C 0.842 -5.465 -3.104
H -2.627 0.179 6.431
H 2.250 -5.360 6.075
- - -
So what's next with these systems?
Starting with Rapid Transit, this is the plan, and it's good. But it shows there's a great deal still to complete: Electrification to Pukekohe is the latest addition to the network, though the intermediate stations are yet to complete. Then what?
Other than the CRL and the rail rebuild, the Eastern Busway is currently being extended to Botany. Great. A lot of energy and some funding is going into improving the nascent North Western direction also with buses. The Harbour crossing since the change of government now all about traffic lanes, at enormous cost, a pivot that this study doesn't really support. Upper Harbour (SH18) needs addressing. But the biggest void is the Isthmus and Mangere direction or the CC2M. Since the killing of the woefully off-track Auckland Light Rail separate agency, nothing has been proposed in its place. There is an opportunity and need for leadership from within Auckland on this. This is a route that needs its Robbie or Len Brown.
No good being able to get there if there is no supporting fresh, waste, and storm water infrastructure to support that density. So where's that at?
Usefully Watercare have just published at network capacity map, and a list of areas and dates for upgrades currently underway:
Putting these these together there is pretty good correlation too:
Now there are plenty of other complications, like flood prone land, which the Council has been very focused on after the 2023 inundation, and social infrastructure. And the always important issue of land value and building cost, which govern the actual likelihood of things being built by the private sector.
But the biggest missing piece in the puzzle is some kind of lead agency, with capital, along with quality urban design and land assembly skills, to spark great development, in the locations unlocked by these huge agglomerative infrastructure investments. The private sector will deliver market rate developments, and do respond to the new infrastructure where it is most profitable and least risky to do so. But to get the highest public benefit, and to internalise public return (economically if not financially) on these huge public investments, best practice internationally is to coordinate the infra with the outcomes. The most obvious example of this sort of coordination is in Transport Oriented Developments (TOD). High quality public transport systems will revalue land around stations by making it better connected, but still usually needs masterplanning, up zoning, and site assembly. The new Transport and Housing Minister did mention this positively in his speech last week.
However the city has just dissolved Eke Panuku, and central government has removed all such powers and funding from Kaianga Ora for this work.
This Te Waihanga report should help concentrate the minds of the city and the government on the economic and wellbeing benefits of prioritising urbanising infrastructure for our cities, and the need to follow through to be sure the best outcomes are delivered.
Post Script. For anyone with any doubt about the welling being costs of trying to densify on a driving dominant pattern, below is a magisterial summary of the where leads by Ray Delhanty of City Nerd.
And note Greater Auckland is hosting Ray in person TONIGHT, details here come along!
What is happening with the staged Carrington residential development. Has it been lost in the government's reduction of Kāinga Ora roles?